What We Studied
We left the house every single day this week (again). This wee was the Nebraska State Fair and I randomly decided on Saturday to take the kids on Monday. The fair location in Grand Island is about a 2 hour drive from home. So we left the house early on Monday morning to spend the day at the fair. Fun, but my goodness, it was exhausting when you add on a lake trip on Tuesday, science on Wednesday, coop on Thursday, and a Fontenelle Forest trip on Friday. A full week of activities!
We had the lake to ourselves
Literature and Poetry
Arthur finished reading Through the Looking-glass this week. He didn’t like the sequel as much as the first book, but we wanted to cover the two volumes before watching a movie version. He also has a weekly poetry selection. We continued our Myths and Maps extra curriculum from B&R. We began covering creation stories from around the world. I’m liking these short retellings of myths. Eventually we will add our squares to a world map and see where all the civilizations are. We continued our next book club selection, Word of Mouse. Trying to finish this coming week.
### Next to the page, the page also holds crystal structures
____________
Computed, not measured: a relaxed RbNaTcI6 crystal at the PBE-GGA level of DFT.

abc: 7.9737 7.9737 15.2545
angles: 90.00 90.00 120.00
Last column: nearest neighbours and their distance in Å.
Positions (direct):
Rb1 0.0000 0.0000 0.0000  6 I 3.72
Rb2 0.0000 0.0000 0.5000  6 I 3.72
Na1 0.3333 0.6667 0.2500  6 I 3.22
Na2 0.6667 0.3333 0.7500  6 I 3.22
Tc1 0.6667 0.3333 0.2500  6 I 2.76
Tc2 0.3333 0.6667 0.7500  6 I 2.76
I1 0.6477 0.6041 0.1444  1 Tc 2.76
I2 0.9563 0.3523 0.1444  1 Tc 2.76
I3 0.3523 0.9563 0.6444  1 Tc 2.76
I4 0.0437 0.6477 0.8556  1 Tc 2.76
I5 0.3959 0.3523 0.3556  1 Tc 2.76
I6 0.9563 0.6041 0.3556  1 Tc 2.76
I7 0.6041 0.9563 0.8556  1 Tc 2.76
I8 0.6477 0.0437 0.3556  1 Tc 2.76
I9 0.0437 0.3959 0.6444  1 Tc 2.76
I10 0.3959 0.0437 0.1444  1 Tc 2.76
I11 0.6041 0.6477 0.6444  1 Tc 2.76
I12 0.3523 0.3959 0.8556  1 Tc 2.76

***

Computed, not measured: a relaxed Rb2NaTcI6 crystal at the PBE-GGA level of DFT.

Values from the calculation:
Its energy above the most stable polymorph in this dataset is 19 meV per atom. For the density of states at the Fermi level, the calculation gives 11.0 states/eV/f.u.

abc: 8.3500 8.3500 8.3503
angles: 60.00 60.00 90.00
Last column: nearest neighbours and their distance in Å.
Positions (direct):
I1 0.2337 0.2337 0.5327  1 Tc 2.76
I2 0.7663 0.7663 0.4673  1 Tc 2.76
I3 0.2336 0.2336 0.0000  1 Tc 2.76
I4 0.7664 0.7664 0.0000  1 Tc 2.76
I5 0.7664 0.2336 0.0000  1 Tc 2.76
I6 0.2336 0.7664 0.0000  1 Tc 2.76
Na1 0.5000 0.5000 0.0000  6 I 3.15
Tc1 0.0000 0.0000 0.0000  6 I 2.76
Rb1 0.7500 0.2500 0.5000  12 I 4.18
Rb2 0.2500 0.7500 0.5000  12 I 4.18

***

Computed, not measured: a relaxed Rb2NaTcI6 crystal at the PBE-GGA level of DFT.

Values from the calculation:
Its energy above the most stable polymorph in this dataset is 0 meV per atom. For the density of states at the Fermi level, the calculation gives 6.2 states/eV/f.u.

abc: 8.2136 8.2136 15.3414
angles: 74.47 74.47 60.00
Last column: nearest neighbours and their distance in Å.
Positions (direct):
Rb1 0.8696 0.8696 0.3912  9 I 4.00-4.11
Rb2 0.1304 0.1304 0.6088  9 I 4.00-4.11
Rb3 0.6963 0.6963 0.9111  9 I 3.85-4.12
Rb4 0.3037 0.3037 0.0889  9 I 3.85-4.12
Na1 0.5841 0.5841 0.2476  6 I 3.11-3.20
Na2 0.4159 0.4159 0.7524  6 I 3.11-3.20
Tc1 0.0000 0.0000 0.0000  6 I 2.76
Tc2 0.5000 0.5000 0.5000  6 I 2.78
I1 0.8581 0.3751 0.3918  1 Tc 2.78, 1 Na 3.11
I2 0.3751 0.8581 0.3918  1 Tc 2.78, 1 Na 3.11
I3 0.3751 0.3751 0.3918  1 Tc 2.78, 1 Na 3.11
I4 0.1419 0.6249 0.6082  1 Tc 2.78, 1 Na 3.11
I5 0.6249 0.1419 0.6082  1 Tc 2.78, 1 Na 3.11
I6 0.6249 0.6249 0.6082  1 Tc 2.78, 1 Na 3.11
I7 0.7223 0.1944 0.8888  1 Tc 2.76
I8 0.1944 0.7223 0.8888  1 Tc 2.76
I9 0.1944 0.1944 0.8888  1 Tc 2.76
I10 0.2777 0.8056 0.1112  1 Tc 2.76
I11 0.8056 0.2777 0.1112  1 Tc 2.76
I12 0.8056 0.8056 0.1112  1 Tc 2.76

***

Computed, not measured: a relaxed RbNaTeI2 crystal at the PBE-GGA level of DFT.

Values from the calculation:
____________
Through the Looking-glass and What Alice Found There by Lewis Carroll
Nat Geo Book of Nature Poetry
In the Beginning by Virginia Hamilton
Word of Mouse by James Patterson
Quentin covered some interesting books focused on Native American cultures. We also started sprinkling in animal stories from around the world. I’m trying to line them up with our continents as we move across the world.
Nat Geo Book of Animal Poetry
A World Full of Animal Stories by Angela McAllister
Around the World in 80 Days by Saviour Pirotta
We are Grateful / Otsaliheliga by Traci Sorell
A Boy Called Slow: The True Story of Sitting Bull by Jospeh Bruchac
Fry Bread by Kevin Noble Maillard
For both boys, we have scheduled math for three days a week. One day is focused on logic, games, puzzles, and special projects. The two other days are focused on covering the main math curriculum (Singapore 4A and 4B for Arthur and Singapore 1A and 1B for Quentin). I also found a fun packet of logic puzzles based on Alice in Wonderland. We will be spreading these out over our reading of the text.
Logic Liftoff (Arthur)
Singapore 4A
Tinkeractive Math Kindergarten
Lollipop Logic Book 2 (Quentin)
Social Studies
Arthur skipped history this week in favor of science. No problem, we’ll pick up where we left off next week.
Quentin began his study of the world with Build Your Library Level 0. We did a study of the United States. To celebrate, we made s’mores.
Nat Geo Beginner’s World Atlas
DK Countries of the World
DK Children Just Like Me
DK Children Just Like Me; A School Like Mine
Arthur Independent Time
We are working on following a checklist in a planner for weekly independent work. There’s usually some math workbook pages, an ELA packet, weekly writing prompts (1-2 times a week), independent reading time, and a special creative project. Beyond the paperwork, Arthur focused on his game he’s been making (Lord of the Book) and some random side creative projects.
Arthur is focusing on Physics this year. We are covering the text and related videos at home and then joining friends for experiments and extra projects. This week the boys learned about Newton’s Third Law of Motion and conversation of momentum. They had fun making balloon rockets for their challenge level.
RSO Physics
The Story of Science: Aristotle Leads the Way by Joy Hakim
Quentin will be focusing on animal science with BYL Level 0. We talked about animals of North America.
Nat Geo Wild Animal Atlas
DK Animal
Lonely Planet: The Animal Book
This was our first week post-closing registration. We have 21 families that have joined coop with a total of 38 students participating. We are just about at capacity! But I’m very excited about creating deeper bonds with everyone in coop. The older class continued their geology lessons this week with a focus on weathering and erosion. The younger two classes learned about fungi. Quentin was super excited to paint with mushrooms.
We’re planning one doing on art project and one cooking project each week as well as picking a composer or musician to listen to and enjoy. This week, art and music just didn’t happen. But that’s okay. This is why I have built in flex weeks to catch up on some of the things that get pushed aside during a normal week.
For our cooking, Quentin made s’mores. Pretty basic for the U.S., but it was tasty. Next week’s Mexico menu will be better.
Field Trip
Our actual field trip was Friday’s visit to Fontenelle Forest. All the kids were tasked with spotting mushrooms along our hike. We found many different kinds and took tons of pictures. Of course the kids had to play at the playground after our walk and have a picnic before seeing the birds at Raptor Rescue.
The State Fair was an experience! The boys are already asking if we can go next year. Only 360 days to wait…
So many activities meant that we are a bit behind on our book work. We’ll catch up (that’s why I build in flex weeks), but I’m not a fan of feeling behind.
Next Week
Starting an ELA read aloud and a History read aloud (A)
Learning about Native American cultures of the West Coast (A)
Moving on to Friction for Physics (A)
Reading some animal stories (Q)
Covering Mexico (Q)
Covering geology (A) and fungi (Q) for coop - last week for geology (and me teaching!)
Introducing the art of John Singleton Copley?
Finishing Word of Mouse for coop book club
Listening to Bach
Next up on the TBR pile: